/** * run the job, then remove it from the joblist * * @param JobList $jobList * @param ILogger $logger */ public function execute($jobList, ILogger $logger = null) { $jobList->remove($this, $this->argument); $target = $this->argument['url']; // only execute if target is still in the list of trusted domains if ($this->trustedServers->isTrustedServer($target)) { $this->parentExecute($jobList, $logger); } }
protected function run($argument) { $target = $argument['url']; $source = $this->urlGenerator->getAbsoluteURL('/'); $source = rtrim($source, '/'); $token = $argument['token']; try { $result = $this->httpClient->get($target . $this->endPoint, ['query' => ['url' => $source, 'token' => $token], 'timeout' => 3, 'connect_timeout' => 3]); $status = $result->getStatusCode(); } catch (ClientException $e) { $status = $e->getCode(); $this->logger->logException($e); } // if we received a unexpected response we try again later if ($status !== Http::STATUS_OK && $status !== Http::STATUS_FORBIDDEN) { $this->jobList->add('OCA\\Federation\\BackgroundJob\\GetSharedSecret', $argument); } else { // reset token if we received a valid response $this->dbHandler->addToken($target, ''); } if ($status === Http::STATUS_OK) { $body = $result->getBody(); $result = json_decode($body, true); if (isset($result['ocs']['data']['sharedSecret'])) { $this->trustedServers->addSharedSecret($target, $result['ocs']['data']['sharedSecret']); } else { $this->logger->error('remote server "' . $target . '"" does not return a valid shared secret', ['app' => 'federation']); $this->trustedServers->setServerStatus($target, TrustedServers::STATUS_FAILURE); } } }
/** * @expectedException \Exception * @expectedExceptionMessage simulated exception */ public function testIsOwnCloudServerFail() { $server = 'server1'; $this->httpClientService->expects($this->once())->method('newClient')->willReturn($this->httpClient); $this->httpClient->expects($this->once())->method('get')->with($server . '/status.php')->willReturnCallback(function () { throw new \Exception('simulated exception'); }); $this->trustedServers->isOwnCloudServer($server); }
## Unrelated to this article: crystal structures
┌──
## 1
An optimized crystal structure of SmGd3, computed with meta-GGA r2SCAN.

Computed properties:
Space group: P6_3/mmc (194)
Magnetization: 24.61 μB per formula unit

Structure (POSCAR):
```
SmGd3
1.0
7.324 0.000 0.000
-3.662 6.342 0.000
0.000 0.000 5.912
Sm Gd
2 6
Cartesian
3.662 2.114 1.478
0.000 4.228 4.434
5.504 1.051 4.434
1.819 1.050 4.434
3.662 4.242 4.434
-1.843 5.292 1.478
1.843 5.292 1.478
0.000 2.101 1.478
```

=====

## 2
An optimized crystal structure of SmGd3, computed with meta-GGA r2SCAN.

Computed properties:
Space group: I4/mmm (139)
Magnetization: 7.78 μB per formula unit

Structure (POSCAR):
```
SmGd3
1.0
5.413 2.976 -1.012
-0.566 6.019 1.625
-1.356 -5.301 3.041
Sm Gd
1 3
Cartesian
0.000 0.000 0.000
3.240 1.086 1.168
0.250 2.608 2.486
2.424 4.497 0.307
```

=====

Of them, the most stable is 1 and the least stable is 2.

=====

## 1
An optimized crystal structure of MgGeP2, computed with meta-GGA r2SCAN.

Computed properties:
Space group: I-42d (122)
Magnetization: 0.00 μB per formula unit

Structure (POSCAR):
```
MgGeP2
1.0
-0.003 7.313 3.587
-0.266 4.366 9.593
3.062 1.746 5.690
Mg Ge P
2 2 4
Cartesian
0.000 0.001 0.001
-0.134 7.670 7.486
3.060 5.402 7.484
2.928 5.757 11.383
0.601 5.860 11.454
0.662 4.863 3.674
0.732 5.282 7.445
0.528 9.098 9.478
```

=====

## 2
An optimized crystal structure of MgGeP2, computed with meta-GGA r2SCAN.

Computed properties:
Space group: P-4m2 (115)
Magnetization: 0.00 μB per formula unit

Structure (POSCAR):
```
MgGeP2
1.0
3.853 0.000 0.000
0.000 3.853 0.000
0.000 0.000 5.907
Mg Ge P
1 1 2
Cartesian
0.000 0.000 0.000
1.926 1.926 2.954
0.000 1.926 1.590
1.926 0.000 4.317
```

=====

Of them, the most stable is 1 and the least stable is 2.

=====

## 1
An optimized crystal structure of Ge3Ru2, computed with meta-GGA r2SCAN.

Computed properties:
Space group: Pbcn (60)
Magnetization: 0.00 μB per formula unit

Structure (POSCAR):
```
Ge3Ru2
1.0
-4.031 2.151 3.455
-6.095 -0.249 -6.957
-3.051 -10.621 3.054
Ge Ru
24 16
Cartesian
-4.966 -5.469 3.292
-5.464 -9.090 0.216
-5.375 -1.976 3.525
-4.454 -0.654 -0.972
-8.212 -3.250 -3.740
-7.713 0.370 -0.664
-7.802 -6.743 -3.973
-8.723 -8.065 0.524
-6.599 -6.810 5.212
-6.371 -6.394 0.471
-3.304 -0.618 2.104
-3.985 -3.368 -1.727
-6.578 -1.910 -5.661
-6.807 -2.325 -0.920
-9.873 -8.102 -2.552
-9.192 -5.352 1.279
-8.296 -5.110 -1.346
-7.782 -9.938 -2.488
-9.517 -2.642 -0.365
-6.856 0.001 -3.655
-4.882 -3.610 0.898
-5.396 1.219 2.040
-3.661 -6.078 -0.083
-6.321 -8.720 3.207
-10.192 -3.928 -2.323
-4.508 0.395 -3.131
-2.985 -4.791 1.875
-5.619 1.507 -0.371
-7.335 -3.811 0.938
-1.269 0.527 0.566
-5.842 -4.908 -1.386
-8.858 1.375 -4.068
-7.241 -6.369 2.729
-4.490 -7.496 1.893
-5.664 -1.182 1.161
-2.864 -2.143 0.277
-5.936 -2.351 -3.177
-8.688 -1.223 -2.341
-7.514 -7.538 -1.609
-10.313 -6.576 -0.725
```

=====

## 2
An optimized crystal structure of Ge3Ru2, computed with meta-GGA r2SCAN.

Computed properties:
Space group: Pcc2 (27)
└──
/** * create shared secret and return it * * @return \OC_OCS_Result */ public function getSharedSecret() { $url = $this->request->getParam('url'); $token = $this->request->getParam('token'); if ($this->trustedServers->isTrustedServer($url) === false || $this->isValidToken($url, $token) === false) { return new \OC_OCS_Result(null, HTTP::STATUS_FORBIDDEN); } $sharedSecret = $this->secureRandom->getMediumStrengthGenerator()->generate(32); $this->trustedServers->addSharedSecret($url, $sharedSecret); // reset token after the exchange of the shared secret was successful $this->dbHandler->addToken($url, ''); return new \OC_OCS_Result(['sharedSecret' => $sharedSecret], Http::STATUS_OK); }
/** * check if the server should be added to the list of trusted servers or not * * @param string $url * @return bool * @throws HintException */ protected function checkServer($url) { if ($this->trustedServers->isTrustedServer($url) === true) { $message = 'Server is already in the list of trusted servers.'; $hint = $this->l->t('Server is already in the list of trusted servers.'); throw new HintException($message, $hint); } if ($this->trustedServers->isOwnCloudServer($url) === false) { $message = 'No ownCloud server found'; $hint = $this->l->t('No ownCloud server found'); throw new HintException($message, $hint); } return true; }
/** * create shared secret and return it * * @return \OC_OCS_Result */ public function getSharedSecret() { $url = $this->request->getParam('url'); $token = $this->request->getParam('token'); if ($this->trustedServers->isTrustedServer($url) === false) { $this->logger->log(\OCP\Util::ERROR, 'remote server not trusted (' . $url . ') while getting shared secret'); return new \OC_OCS_Result(null, HTTP::STATUS_FORBIDDEN); } if ($this->isValidToken($url, $token) === false) { $this->logger->log(\OCP\Util::ERROR, 'remote server (' . $url . ') didn\'t send a valid token (got ' . $token . ') while getting shared secret'); return new \OC_OCS_Result(null, HTTP::STATUS_FORBIDDEN); } $sharedSecret = $this->secureRandom->generate(32); $this->trustedServers->addSharedSecret($url, $sharedSecret); // reset token after the exchange of the shared secret was successful $this->dbHandler->addToken($url, ''); return new \OC_OCS_Result(['sharedSecret' => $sharedSecret], Http::STATUS_OK); }
**Between two parts of the article: materials data**
********
The following is a DFT calculation (r²SCAN) of Hf27P16 after structural relaxation.

Calculated values
Calculated volume, A^3/atom: 17.50
Energy relative to the elements, eV per atom: -1.168
Theoretical density, g/cm³: 11.7
Uncorrected energy, eV per atom: -32.87
Total moment, μB per atom: 0.0202

abc: 3.519 18.570 23.031
angles: 90.00 90.00 90.00
Space group Immm (No. 71)
Unique sites:
Hf 0.000 0.000 0.000 (multiplicity 2)
Hf 0.000 0.131 0.391 (multiplicity 8)
Hf 0.000 0.133 0.183 (multiplicity 8)
Hf 0.000 0.246 0.071 (multiplicity 8)
Hf 0.000 0.313 0.215 (multiplicity 8)
Hf 0.000 0.406 0.420 (multiplicity 8)
Hf 0.000 0.417 0.000 (multiplicity 4)
Hf 0.000 0.500 0.148 (multiplicity 4)
Hf 0.000 0.500 0.285 (multiplicity 4)
P 0.000 0.000 0.125 (multiplicity 4)
P 0.000 0.000 0.439 (multiplicity 4)
P 0.000 0.076 0.285 (multiplicity 8)
P 0.000 0.138 0.000 (multiplicity 4)
P 0.000 0.191 0.500 (multiplicity 4)
P 0.000 0.269 0.344 (multiplicity 8)

=====

No. 1
Computed, not measured: a geometry-optimized Zr6Zn16Cu7 structure at the PBE-GGA level of DFT.

Properties
Energy of formation (meV/atom): -243.8

Cell: 12.185 12.185 12.185 Å, 90.00 90.00 90.00°
Space group Fm-3m (No. 225)
Symmetry-distinct sites (fractional):
Zr (0.000, 0.000, 0.196)
Zn (0.120, 0.120, 0.380)
Zn (0.168, 0.168, 0.168)
Cu (0.000, 0.000, 0.500)
Cu (0.000, 0.250, 0.250)


No. 2
Computed, not measured: a geometry-optimized MnSiNi2 structure at the PBE-GGA level of DFT.

Properties
Energy of formation (meV/atom): -273.3

Cell: 2.774 2.774 6.143 Å, 90.00 90.00 90.00°
Space group P4/mmm (No. 123)
Symmetry-distinct sites (fractional):
Mn (0.000, 0.000, 0.000)
Si (0.000, 0.000, 0.500)
Ni (0.500, 0.500, 0.283)


No. 3
Computed, not measured: a geometry-optimized K2MgP2 structure at the PBE-GGA level of DFT.

Properties
Energy of formation (meV/atom): 558.9

Cell: 3.494 3.494 15.047 Å, 90.00 90.00 90.00°
Space group P4/mmm (No. 123)
Symmetry-distinct sites (fractional):
K (0.000, 0.000, 0.146)
Mg (0.000, 0.000, 0.500)
P (0.000, 0.000, 0.341)


No. 4
Computed, not measured: a geometry-optimized HfSiMo structure at the PBE-GGA level of DFT.

Properties
Energy of formation (meV/atom): -707.6

Cell: 6.948 3.507 8.205 Å, 90.00 90.00 90.00°
Space group Pnma (No. 62)
Symmetry-distinct sites (fractional):
Hf (0.043, 0.250, 0.167)
Si (0.243, 0.750, 0.363)
Mo (0.135, 0.250, 0.563)


No. 5
Computed, not measured: a geometry-optimized Bi5BrO7 structure at the PBE-GGA level of DFT.

Properties
Energy of formation (meV/atom): -1582.8

Cell: 16.475 5.443 23.774 Å, 90.00 90.00 90.00°
Space group Cmce (No. 64)
Symmetry-distinct sites (fractional):
Bi (0.000, 0.216, 0.202)
Bi (0.172, 0.214, 0.561)
Bi (0.175, 0.190, 0.309)
Br (0.000, 0.181, 0.395)
O (0.082, 0.028, 0.747)
O (0.191, 0.198, 0.650)
O (0.204, 0.166, 0.450)
O (0.250, 0.020, 0.750)


No. 6
Computed, not measured: a geometry-optimized K2TcC2S4NO4 structure at the PBE-GGA level of DFT.

Properties
Energy of formation (meV/atom): -895.8
********
protected function run($argument) { $target = $argument['url']; $source = $this->urlGenerator->getAbsoluteURL('/'); $source = rtrim($source, '/'); $token = $argument['token']; $result = null; try { $result = $this->httpClient->get($target . $this->endPoint, ['query' => ['url' => $source, 'token' => $token], 'timeout' => 3, 'connect_timeout' => 3]); $status = $result->getStatusCode(); } catch (ClientException $e) { $status = $e->getCode(); if ($status === Http::STATUS_FORBIDDEN) { $this->logger->info($target . ' refused to exchange a shared secret with you.', ['app' => 'federation']); } else { $this->logger->logException($e, ['app' => 'federation']); } } catch (\Exception $e) { $status = Http::STATUS_INTERNAL_SERVER_ERROR; $this->logger->logException($e, ['app' => 'federation']); } // if we received a unexpected response we try again later if ($status !== Http::STATUS_OK && $status !== Http::STATUS_FORBIDDEN) { $this->retainJob = true; } else { // reset token if we received a valid response $this->dbHandler->addToken($target, ''); } if ($status === Http::STATUS_OK && $result instanceof IResponse) { $body = $result->getBody(); $result = json_decode($body, true); if (isset($result['ocs']['data']['sharedSecret'])) { $this->trustedServers->addSharedSecret($target, $result['ocs']['data']['sharedSecret']); } else { $this->logger->error('remote server "' . $target . '"" does not return a valid shared secret', ['app' => 'federation']); $this->trustedServers->setServerStatus($target, TrustedServers::STATUS_FAILURE); } } }